Kuliah 08
Kuliah 08
Kuliah 08
General Objective : To deliver a presentation
Specific Objectives : To prepare for a presentation
To give an introduction of the presentation
To identify the purpose of the presentation
To deliver the body of the presentation
To conclude the presentation
These calculated molecules were left in the page by mistake >
+++
ORCA calculation (wB97M-V/def2-TZVPD) on a cluster of 7 separate species, C48H105N9O11 in total in a non-equilibrium geometry.

The spin multiplicity is 1. As for the HOMO energy: -8.9 eV. The structure (SMILES) is [H]/N=C(\C)C[C@@](C#N)(COCCOCC)[C@@](C#N)(CCCCCCOC(=O)C=C)OCCC.COC[C@@H](C)N.COC[C@@H](C)N.COC[C@@H](C)N.COC[C@@H](C)N.COC[C@@H](C)N.COC[C@@H](C)N. The calculation puts the frontier orbital gap at 9.201 eV. The value obtained for the electronic energy is -87405.3392 eV. As for the molar mass: 984.420 u.

Each line ends with the Löwdin charge.
Atoms and positions in Å:
H -2.0775 -0.7586 1.5835  0.05
N -1.9240 0.0818 1.0303  0.18
C -0.6857 0.2525 0.8227  -0.39
C 0.3227 -0.7118 1.4199  -0.03
C -0.1101 1.4049 0.0222  -0.05
C -0.3422 1.3267 -1.5239  -0.28
C 0.8235 2.0227 -2.1146  -0.20
N 1.7748 2.4997 -2.5430  0.21
C -0.2302 -0.1088 -2.0518  -0.17
O -1.3780 -0.8583 -1.7978  -0.14
C -1.3128 -2.1716 -2.3492  -0.13
C -2.7431 -2.6348 -2.6398  -0.17
O -3.1854 -3.6137 -1.7117  -0.16
C -3.5834 -3.0525 -0.4591  -0.26
C -2.8075 -3.7470 0.6604  -0.06
C -1.6140 2.1151 -2.0500  -0.39
C -1.3473 3.5663 -1.7745  -0.15
N -1.3274 4.6662 -1.4449  0.22
C -1.7504 2.0354 -3.5981  -0.08
C -2.4327 0.7627 -4.1246  -0.16
C -3.5043 1.0447 -5.2115  -0.18
C -3.1799 0.4597 -6.5901  -0.20
C -2.9264 -1.0482 -6.6249  -0.18
C -4.1429 -1.8655 -6.2471  -0.17
O -3.7303 -3.2540 -6.2122  -0.03
C -4.7190 -4.1290 -5.8669  -0.49
O -5.1557 -4.9015 -6.6734  0.15
C -5.1535 -4.0993 -4.4336  -0.08
C -6.1504 -3.3121 -4.0249  0.04
O -2.8299 1.6970 -1.5231  -0.06
C -3.3608 2.3422 -0.3640  -0.21
C -4.3546 3.4769 -0.6996  -0.22
C -5.5651 3.4068 0.2303  -0.11
H 0.9158 -1.2124 0.6527  0.08
H 0.9947 -0.1122 2.0427  0.08
H -0.1520 -1.4251 2.0913  0.08
H -0.3799 2.3812 0.4273  0.12
H 0.9727 1.3491 0.1480  0.12
H 0.6795 -0.5794 -1.6523  0.14
H -0.0688 -0.0513 -3.1390  0.13
H -0.9241 -2.8521 -1.5855  0.13
H -0.6774 -2.1917 -3.2387  0.12
H -2.7744 -3.0925 -3.6291  0.11
H -3.4340 -1.7891 -2.6136  0.12
H -4.6599 -3.2014 -0.3236  0.12
H -3.4030 -1.9743 -0.4397  0.10
H -2.7104 -4.7948 0.3759  0.08
H -1.7958 -3.3376 0.6977  0.06
H -3.3081 -3.6601 1.6228  0.07
H -0.7923 2.2075 -4.0904  0.13
H -2.3831 2.8840 -3.8637  0.12
H -1.6748 0.1224 -4.5818  0.10
H -2.9021 0.1834 -3.3401  0.09
H -3.6506 2.1201 -5.3347  0.10
H -4.4646 0.6575 -4.8638  0.10
H -2.3576 0.9940 -7.0692  0.12
H -4.0516 0.6421 -7.2304  0.11
H -2.0810 -1.3699 -6.0140  0.11
H -2.6691 -1.3193 -7.6524  0.12
H -4.5602 -1.5948 -5.2731  0.10
H -4.9394 -1.7820 -6.9922  0.14
H -4.6272 -4.7562 -3.7483  0.12
H -6.2011 -3.0265 -2.9813  0.06
H -6.9116 -3.0096 -4.7353  0.08
H -2.6036 2.6645 0.3489  0.11
H -3.9231 1.5669 0.1550  0.11
H -4.6422 3.4001 -1.7475  0.11
H -3.8367 4.4232 -0.5395  0.09
H -6.2444 2.6091 -0.0755  0.07
H -5.2755 3.2759 1.2720  0.07
H -6.1379 4.3322 0.1368  0.07
C 1.5355 4.2944 3.6677  -0.11
O 0.9371 4.4335 2.3938  -0.20
C 0.3276 5.6815 2.1319  -0.21
C 1.2936 6.7684 1.6404  -0.43
C 2.1407 7.3752 2.7538  -0.07
+++
Here the page continues >
Grammar Points : Present Tense
• Introduction
Self introduction
Introduction to the topic and Outlining • Concluding the presentation
• The body of the Presentation Summarizing
Signposting each point and elaborating it Closing
Moving on to the next point and elaborating it • Handling Questions
Referring to visuals
Referring to a point Moving on
• Regarding... With regard to... • That brings me to my next point
• Concerning... With reference to... • Let’s move on the question of…
Finishing off
• I'd like to hand over to (Duncan Soras) now. He is going to say a few words about...
• Well, that was a brief, overview of the subject.............................
• Well, I hope that has given you some idea of.................................
• Does anyone, have any questions?
• well, If there are no more questions.....................................
• Thank you very much for your attention
➢ I'm (I am) calling to check what equipment ➢ I look forward to meeting you next week.
you need. ➢ How does the OHP work? How do you
➢ Are you planning to use the video? adjust it?
➢ Do you mind using an ordinary whiteboard? ➢ Could you get hold of an extension cord?
➢ Do you have a slide projector? ➢ The OHP bulb needs changing.
➢ I'll (I will) need a flip chart. ➢ How are you feeling? Would you like a
➢ I'm used to working in all kinds of glass of water?
situations. ➢ I'm not very keen on speaking in public.
➢ Is there anything else you need? ➢ She's (She is) very good at handling difficult
➢ If I think of anything, I'll give you a call. questions.
➢ He can't (can not) stand using a microphone. ➢ We'll (We will) begin in five minutes, if
➢ I'm not used to speaking without an OHP. you're (you are) ready.
➢ I can't get used to speaking in public. ➢ Shall I introduce you?
➢ I suppose I'll have to get used to it. ➢ Good luck. I hope it goes well
Good afternoon, everyone. My name's Ricardo Vales. I'd like to talk about our new marketing strategy.
There are three parts to my presentation. Firstly, the background to the strategy. Secondly, how we want
to change our current operations. Finally, the details of the costs and the effect of the change on staff. By
the end of my presentation you will understand clearly our future plans.
Handling questions
Most presentations include time for questions and answers. Sometimes presenters ask for questions
during the presentation, but more frequently there is a question time at the end of the presentation.
A. Examples of Questions
1. How many data centres did you say will have to close?
Misplaced quantum chemistry results =
- - -
A 10-piece molecular cluster, C46H111N9O5 overall at a distorted geometry. Source: the Open Molecules 2025 dataset; level of theory: ωB97M-V with the def2-TZVPD basis set.

Each line ends with the Mulliken charge.
Geometry (Å):
C  21.35145  3.31501  -17.32630  -1.24
C  20.37136  4.48368  -17.46490  -0.47
N  20.15643  5.07391  -16.11305  -0.07
C  19.42252  6.41133  -16.24974  -0.26
C  20.23435  7.55171  -16.88133  -1.27
C  19.39993  4.21506  -15.24917  -0.33
C  19.54129  4.62471  -13.83089  -1.32
H  20.89059  2.33653  -17.19104  0.35
H  22.23827  3.48902  -16.71689  0.27
H  21.66735  3.28898  -18.36919  0.43
H  20.87394  5.17580  -18.14053  0.30
H  19.41790  4.29629  -17.95877  0.36
H  19.13393  6.75293  -15.25570  0.22
H  18.52805  6.24488  -16.85001  0.30
H  20.63111  7.31284  -17.86806  0.31
H  21.08211  7.97152  -16.33989  0.30
H  19.63682  8.37987  -17.26241  0.40
H  18.38169  4.08754  -15.61663  0.33
H  19.71277  3.17197  -15.29595  0.34
H  19.13378  3.93790  -13.08906  0.42
H  20.59967  4.65937  -13.57256  0.31
H  19.12465  5.60350  -13.59322  0.29
C  13.68903  -0.15962  -17.93754  -1.31
C  12.41849  0.73169  -17.83149  -0.43
N  11.52609  0.30722  -16.76105  -0.02
C  10.50616  1.30836  -16.50658  -0.42
C  9.79368  0.96829  -15.24743  -1.32
C  11.07446  -1.06194  -16.98847  -0.56
C  10.12443  -1.24934  -18.12612  -1.13
H  14.53856  0.50841  -18.07949  0.36
H  13.63881  -0.83740  -18.78971  0.30
H  13.89034  -0.74636  -17.04127  0.38
H  12.71298  1.76129  -17.62829  0.43
H  11.86604  0.75818  -18.77075  0.33
H  10.86432  2.33781  -16.51531  0.43
H  9.74661  1.28750  -17.28807  0.28
H  8.93402  1.63552  -15.18504  0.39
H  9.41680  -0.03525  -15.05002  0.32
H  10.42971  1.19070  -14.39064  0.33
H  10.58751  -1.36312  -16.06096  0.28
H  11.93515  -1.69905  -17.19196  0.38
H  9.82938  -2.29485  -18.21535  0.41
H  10.41179  -0.78884  -19.07135  0.28
H  9.20461  -0.68446  -17.97466  0.28
C  13.46751  -7.30918  -12.09954  -1.27
C  14.94133  -7.71914  -11.99550  -0.37
N  15.75282  -7.19668  -13.15799  0.12
C  15.48473  -7.91913  -14.38723  -0.77
C  16.10096  -9.32549  -14.47097  -1.04
C  17.13958  -6.93723  -12.75915  -0.26
C  17.82572  -6.16215  -13.80237  -1.45
H  12.86718  -7.60336  -12.96044  0.31
H  13.36704  -6.22384  -12.09293  0.30
H  12.87333  -7.69266  -11.27008  0.39
H  15.38391  -7.34127  -11.07385  0.39
H  14.94350  -8.80074  -11.86052  0.21
H  14.41416  -8.10424  -14.47506  0.27
H  15.63133  -7.18709  -15.18142  0.47
H  15.89604  -10.11685  -13.74997  0.28
H  15.66961  -9.63659  -15.42242  0.40
H  17.16859  -9.20993  -14.65783  0.27
H  17.77525  -7.81328  -12.63044  0.28
H  17.17680  -6.33241  -11.85311  0.40
H  18.84193  -5.86199  -13.54679  0.41
H  17.23070  -5.27611  -14.02368  0.36
H  17.99311  -6.67480  -14.74962  0.30
C  23.36833  -17.61019  -24.81293  -1.37
C  24.05558  -18.57064  -23.82048  -0.44
N  23.66013  -19.89342  -24.13215  -0.01
C  24.16364  -20.31792  -25.45806  -0.19
C  23.56191  -21.58024  -25.84646  -1.43
- - -
2. I agree that sub-contracting is the best solution, but can you explain why people
weren't informed about the decision straight away?
3. Isn't there a major security risk involved in sub-contracting to an outside supplier?
4. I can see big advantages in a single data centre, but is 1993 realistic?
5. You said some staff will be transferred to our manufacturing data centres. Does that mean a big
expansion in their activity?
6. Isn't it the case that the deck ion to close down the data centres was taken months ago?
7. Could you give us some more information about how you propose to deal with retraining?
8. I have a question about the data centers. What will happen to them after they close down?
9. I'm not really clear about the timescale for the project. Could you explain it again?
C. How to use tactics:
Excuse me, I would like to know how you Yes, I quite see your point. However, I know
have classified people as 'others' and 'high you'll understand we have to make decisions,
Extract 1 priority'. I mean, they all work for the and we do have to make judgements. And
same company, and many of them do very there's another point, by reducing the number of
similar types of work. I'm not at all happy data centres we're concentrating our strength,
about it. and reducing costs. I'm sure you can see the
value of that.
How can you be sure of keeping someone Yes, we've thought about that a lot. But the
Extract 2 who you've Identified as high priority and company, as you know, has an excellent record
also mobile? Aren't those the kind of of keeping staff. If you look around, you'll sec:
people who could easily find work with just how many people have been with the
one of our competitors? company for more than five years.
I've heard that Headquarters are also Actually, it's not for me to comment on that.
Extract 3 thinking of closing down the data centre You should ask John Roberts at the meeting on
at our plant in Trieste as well. Is that true? Friday.
Example :
A. Introduction in a presentation
B. Moving on
A: …. So that’s all I wanted to say about the budget for next year. I’d now like to move on to the
question Rosa raised earlier
…. That leads me to my next point. We need to look carefully at how we plan for next year.
…. So next year’s budget I’d now like to talk about the action we are taking to reach our targets.
D. Referring to Visuals
What to say:
Now, let's look at the position for maternity leave in France and in Switch Electronics.
The top half of the slide tells you how much maternity leave women can expect in
France in general and in Switch Electronics in particular.
In the lower part of the slide you can see what the situation is for salary entitlement.
Now, let's move on to the next slide, which is our first slide on child benefit. This
slide gives details about child benefit in the UK.
Presenter ....and we'll be looking at those figures later. Let's move on to the next slide. This
shows you the position at the end of January.
….and sales didn't really move at all in this last quarter. So, overall, the performance in this
sector has not been good. Now I'll show you another slide, which gives us some
information about the competition.
The next chart shows a marked Improvement In home sales compared to last year.
This improved performance is due in part to lower interest rates ...
.....So, as we've seen, this group has not responded well to treatment. However, when we
turn to the male patients we can see a more positive result.
A: Oh, dear
B: Is it broken?
A: Yes, the bulb is broken. I'm afraid I won't be able to use the projector. Could you bear with me? I
have some paper copies in my briefcase.
B: Are you ok?
A: Yes, I think so. Could I have a glass of water? That's better. Sorry, where was I?
B: You were just about to tell us some interesting news.
F. Recapping
A : As I mentioned earlier, we hope to finish the project by the end of the year. I said that wa
[The entry is interrupted by molecular data]
/*
1 | # H19O10

H19O10 as an isolated structure (the ωB97M-V functional and the def2-TZVPD basis, the OMol25 dataset).

The frontier orbital gap comes out at 0.328 hartree. As for the total charge: -1.

Geometry (Å):
O (1.348, -0.228, 1.113)
O (1.061, -1.604, -1.247)
O (-2.781, 0.348, 0.783)
O (1.769, 1.964, 1.035)
O (2.132, 1.123, -1.432)
O (-0.289, -0.381, -0.138)
O (-1.258, -1.133, 1.395)
O (0.120, 0.771, -1.795)
O (-1.155, 1.593, 0.139)
O (-1.061, -1.966, -1.024)
H (-0.756, -1.236, 2.203)
H (1.168, 1.819, 1.765)
H (2.185, 1.423, -0.525)
H (1.239, 0.789, -1.523)
H (2.017, 1.084, 0.751)
H (-1.181, -2.234, -0.113)
H (1.971, -1.517, -0.965)
H (-1.975, 1.336, 0.562)
H (-0.609, 0.987, -2.377)
H (-0.682, 0.770, 0.012)
H (-3.314, 0.130, 1.547)
H (2.044, -0.737, 0.700)
H (-0.453, -1.228, -0.978)
H (-2.042, -0.259, 0.824)
H (-0.644, -0.733, 0.779)
H (0.608, -0.299, 0.509)
H (-0.258, 0.173, -1.150)
H (0.553, -1.179, -0.556)
H (0.244, 0.423, -0.294)

=====

2 | # H19O10

A 10-piece molecular cluster, H19O10 overall (the ωB97M-V functional and the def2-TZVPD basis, the OMol25 dataset).

The frontier orbital gap comes out at 0.331 hartree. As for the total charge: -1.

Geometry (Å):
O (-1.441, -3.573, 1.152)
O (-2.516, 0.797, 1.329)
O (-0.081, 1.241, 2.087)
O (3.208, 1.407, 1.507)
O (-2.794, -0.999, -0.915)
O (1.833, 1.177, -2.919)
O (-1.086, 2.312, -0.407)
O (0.268, -1.458, 0.777)
O (1.557, -2.055, -1.967)
O (1.047, 0.504, -0.689)
H (-0.530, 1.577, -0.274)
H (1.235, 1.056, -1.917)
H (-0.096, -0.859, 1.471)
H (-2.619, -0.058, -1.279)
H (-3.176, 0.519, 2.031)
H (-2.025, -1.414, -0.775)
H (-0.879, 1.773, 1.941)
H (1.027, -1.184, -1.858)
H (-1.308, -2.598, 1.423)
H (-0.895, -3.636, 0.534)
H (1.815, -2.082, -2.804)
H (1.945, 2.116, -3.111)
H (0.220, 0.828, 1.279)
H (1.778, 0.147, -0.222)
H (-0.632, 3.078, -0.772)
H (-2.694, 0.364, 0.598)
H (3.622, 1.171, 2.261)
H (2.603, 0.671, 1.429)
H (0.613, -0.822, 0.088)

=====

In terms of stability, 2 leads; the second structure lies 17.287 eV higher.

* * * * *

Entry 1:
{
  "formula": "C46H47Br2N13PbS2",
  "method": "wB97M-V/def2-TZVPD",
  "species": ["Pb", "C", "N", "C", "C", "N", "C", "C", "C", "C", "C", "C", "N", "C", "N", "C", "C", "C", "C", "C", "C", "N", "H", "H", "H", "H", "H", "H", "H", "H", "H", "H", "H", "H", "H", "H", "H", "Br", "C", "C", "C", "N", "C", "C", "C", "C", "C", "Br", "C", "C", "N", "H", "H", "H", "H", "H", "H", "N", "C", "N", "C", "C", "C", "C", "C", "H", "H", "H", "H", "H", "H", "H", "H", "H", "H", "C", "N", "C", "C", "N", "C", "S", "H", "H", "H", "H", "H", "H", "H", "H", "S", "C", "C", "C", "N", "C", "C", "C", "C", "C", "N", "C", "C", "H", "H", "H", "H", "H", "H", "H", "H"],
*/
[Here the entry continues]
were on schedule. Having said that, there are a couple of potential problems........
G. Coming to end
A: I’d like to finish by thanking you all for coming here today and I look forward to seeing you
in two weeks time. If anyone has any questions, please ask. I will be around for coffee later
and you are very welcome to contact me if you have any queries before the next meeting.